Thomas Ferguson


Thomas Ferguson is the Research Director at the Institute for New Economic Thinking. He is Professor Emeritus at the University of Massachusetts, Boston and Senior Fellow at Better Markets. He received his Ph.D. from Princeton University and taught formerly at MIT and the University of Texas, Austin. He is the author or coauthor of several books, including Golden Rule (University of Chicago Press, 1995) and Right Turn (Hill & Wang, 1986). His articles have appeared in many scholarly journals, including the Quarterly Journal of Economics, International Organization, International Studies Quarterly, and the Journal of Economic History. He is a member of the editorial board of the International Journal of Political Economy and a longtime Contributing Editor at The Nation.

By this expert

Affluent Authoritarianism: McGuire and Delahunt’s New Evidence on Public Opinion and Policy

Article | Nov 2, 2020

New INET research shows once again that it’s large firms and the 1%—not the “median voter”—who drive U.S. policy

Are American Colleges and Universities the Next Covid Casualties?

Article | Jul 22, 2020

Colleges and universities need to be saved, not only from financial ruin, but also, all too often, from themselves.

Three Comments on Storm “The Economics and Politics of Social Democracy: A Reconsideration"

Paper Working Paper Series | | May 2020

This Working Paper presents three separate comments on Servaas Storm’s “The Economics and Politics of Social Democracy: A Reconsideration”. The first is by Joseph Halevi and Peter Kriesler; the second is by Duncan Foley; and the third is by Thomas Ferguson.

Calculated crystals, kept here for reference
********
This record from Alexandria via LeMat-Bulk describes a relaxed SrLiAlPt2 crystal. The functional is GGA-PBE.

Summary:
ΔE_f: -0.852 eV per atom
D(E_F): 1.40 states/eV per cell

Cell: 4.1951 4.1951 6.3649 Å, 109.24 109.24 90.00°
Fractional coordinates of all 5 atoms:
Pt 0.3789 0.3789 0.7578
Pt 0.6211 0.6211 0.2422
Al 0.2500 0.7500 0.5000
Li 0.7500 0.2500 0.5000
Sr 0.0000 0.0000 0.0000
********
The calculated crystals stop here

Fatal Combination: Bailouts and Bank Rescues in Money-Driven Political Systems

Article | Apr 13, 2020

Financial industry donations to members of Congress lead to the adoption of pro-bank policies

Featuring this expert

YSI 2020 Plenary: New Economic Questions

Young Scholars Initiative Virtual Plenary

YSI Event Plenary YSI | Nov 6–15, 2020

What are the 100 most pertinent economic questions facing our global societ?

Research Webinar & Book Launch: Macroeconomic Inequality From Reagan to Trump

Event Webinar | Sep 18, 2020

A discussion with Lance Taylor and Özlem Ömer, authors of INET’s new book Macroeconomics Inequality from Reagan to Trump

Money, Politics, and Social Conflict in the Age of COVID & YSI Discussion

with Thomas Ferguson - 12pm ET / 9am PT

Event Webinar | Jun 4, 2020

Every country has had a different policy response to the crisis; and within countries different political parties have championed various approaches. How has COVID-19 affected politics and social life in developed western countries?

INET/YSI Pre-conference @ STOREP 2019

YSI Event Workshop YSI | Jun 25–27, 2019

The Institute for New Economic Thinking and the Italian Association for the History of Political Economy (STOREP) announce a day and a half of lectures, workshops, and debates held on the 26th and 27th of June, just before the annual STOREP conference, in Siena, Italy.